# Activity
Now repeat the lines underneath up to the one that holds "5.4831", that line included.

# Listing
'''
(1)
Tl6Ni3Br14 PBE relaxed; SG = P3, No. 143; uncorrected formation energy = -53.0 kJ/mol of atoms; total magnetization = 7.0 μB per formula unit; volume = 812 Å³/cell; final energy = -2.94 eV per atom; Fermi-level density of states = 14.679 states/eV/f.u.
1.0
11.8627 0.0000 0.0000
-5.9314 10.2734 0.0000
0.0000 0.0000 6.6644
Tl Ni Br
6 3 14
Cartesian
-2.4801 4.7215 0.0000
2.4278 2.1587 3.4368
-0.6023 10.0605 0.0000
3.0825 5.7648 0.0000
8.7793 1.0232 3.4368
6.5870 7.0915 3.4368
0.0000 0.0000 0.5213
0.0000 6.8490 3.8801
5.9314 3.4245 4.9197
0.0000 0.0000 4.8587
-0.4120 2.1576 1.3260
-3.8568 9.5514 1.3260
-2.0331 7.6619 4.7184
0.3125 4.6818 4.7184
0.0000 6.8490 1.5640
3.9500 2.6789 6.3520
5.5548 1.3267 3.5149
1.7206 8.2031 4.7184
4.3029 4.7995 3.5149
7.5677 2.0813 6.3520
4.2688 8.8378 1.3260
6.2764 5.5132 6.3520
7.9364 4.1472 3.5149

=====

(2)
MnW PBE relaxed; SG = Pnma, No. 62; calculated formation energy = 0.43 eV/f.u.; total magnetization = 0.8 μB per formula unit; volume = 222 Å³/cell; final energy = -10.85 eV per atom; Fermi-level density of states = 2.192 states/eV/f.u.
1.0
9.9502 0.0000 0.0000
0.0000 4.3760 0.0000
0.0000 0.0000 5.0913
Mn W
8 8
Cartesian
0.6279 1.0940 0.4044
1.7209 3.2820 1.3694
3.2542 1.0940 3.9150
4.3472 3.2820 2.9501
5.6029 1.0940 2.1412
6.6960 3.2820 1.1763
8.2293 1.0940 3.7219
9.3223 3.2820 4.6869
0.6487 1.0940 2.9666
1.9079 3.2820 3.9204
3.0671 1.0940 1.3748
4.3264 3.2820 0.4209
5.6237 1.0940 4.6704
6.8830 3.2820 3.7165
8.0422 1.0940 1.1709
9.3015 3.2820 2.1247

=====

(3)
CaY4Si PBE relaxed; SG = F-43m, No. 216; uncorrected formation energy = 41.4 kJ/mol of atoms; total magnetization = 0.0 μB per formula unit; volume = 189 Å³/cell; final energy = -5.12 eV per atom; Fermi-level density of states = 7.336 states/eV/f.u.
1.0
0.0000 4.5587 4.5587
4.5587 0.0000 4.5587
4.5587 4.5587 0.0000
Ca Y Si
1 4 1
Cartesian
0.0000 0.0000 0.0000
3.4221 3.4221 3.4221
5.6952 5.6952 3.4221
5.6952 3.4221 5.6952
3.4221 5.6952 5.6952
6.8380 6.8380 6.8380

=====

(4)
PaCdIrPt PBE relaxed; SG = F-43m, No. 216; calculated formation energy = -2.25 eV/f.u.; total magnetization = 0.0 μB per formula unit; volume = 79 Å³/cell; final energy = -6.89 eV per atom; Fermi-level density of states = 3.681 states/eV/f.u.
1.0
0.0000 3.4024 3.4024
3.4024 0.0000 3.4024
3.4024 3.4024 0.0000
Pa Cd Ir Pt
1 1 1 1
Cartesian
0.0000 0.0000 0.0000
3.4024 3.4024 3.4024
1.7012 1.7012 1.7012
5.1037 5.1037 5.1037

=====

(5)
AgWAu2 PBE relaxed; SG = P4/mmm, No. 123; calculated formation energy = 1.55 eV/f.u.; total magnetization = 0.0 μB per formula unit; volume = 70 Å³/cell; offset from the most stable computed form = 15.1 kJ per mole of atoms; final energy = -5.20 eV per atom; Fermi-level density of states = 2.864 states/eV/f.u.
1.0
5.0393 0.0000 0.0000
0.0000 5.0393 0.0000
0.0000 0.0000 2.7675
Ag W Au
1 1 2
Cartesian
0.0000 0.0000 0.0000
2.5197 2.5197 0.0000
0.0000 2.5197 1.3838
2.5197 0.0000 1.3838

=====

(6)
ThZn2PtAu2 PBE relaxed; SG = P4/mmm, No. 123; calculated formation energy = -2.16 eV/f.u.; total magnetization = 0.0 μB per formula unit; volume = 129 Å³/cell; final energy = -4.12 eV per atom; Fermi-level density of states = 2.163 states/eV/f.u.
1.0
4.8552 0.0000 0.0000
0.0000 4.8552 0.0000
0.0000 0.0000 5.4831
Th Zn Pt Au
1 2 1 2
Cartesian
0.0000 0.0000 0.0000
0.0000 2.4276 2.7415
2.4276 0.0000 2.7415
0.0000 0.0000 2.7415
2.4276 2.4276 1.3218
2.4276 2.4276 4.1612

=====

(7)
Li4Zn2Ir PBE relaxed; SG = I4/mmm, No. 139; calculated formation energy = -1.23 eV/f.u.; total magnetization = 0.0 μB per formula unit; volume = 109 Å³/cell; offset from the most stable computed form = 0.0 kJ per mole of atoms; final energy = -2.90 eV per atom; Fermi-level density of states = 3.673 states/eV/f.u.
1.0
-2.5768 2.5768 4.1199
2.5768 -2.5768 4.1199
2.5768 2.5768 -4.1199
Li Zn Ir
4 2 1
Cartesian
1.2884 1.2884 -2.0600
1.2884 -1.2884 2.0600
-1.2884 1.2884 2.0600
1.2884 1.2884 2.0600
2.5768 0.0000 0.0000
0.0000 2.5768 0.0000
0.0000 0.0000 0.0000

=====

(8)
'''

# Response
(1)
Tl6Ni3Br14 PBE relaxed; SG = P3, No. 143; uncorrected formation energy = -53.0 kJ/mol of atoms; total magnetization = 7.0 μB per formula unit; volume = 812 Å³/cell; final energy = -2.94 eV per atom; Fermi-level density of states = 14.679 states/eV/f.u.
1.0
11.8627 0.0000 0.0000
-5.9314 10.2734 0.0000
0.0000 0.0000 6.6644
Tl Ni Br
6 3 14
Cartesian
-2.4801 4.7215 0.0000
2.4278 2.1587 3.4368
-0.6023 10.0605 0.0000
3.0825 5.7648 0.0000
8.7793 1.0232 3.4368
6.5870 7.0915 3.4368
0.0000 0.0000 0.5213
0.0000 6.8490 3.8801
5.9314 3.4245 4.9197
0.0000 0.0000 4.8587
-0.4120 2.1576 1.3260
-3.8568 9.5514 1.3260
-2.0331 7.6619 4.7184
0.3125 4.6818 4.7184
0.0000 6.8490 1.5640
3.9500 2.6789 6.3520
5.5548 1.3267 3.5149
1.7206 8.2031 4.7184
4.3029 4.7995 3.5149
7.5677 2.0813 6.3520
4.2688 8.8378 1.3260
6.2764 5.5132 6.3520
7.9364 4.1472 3.5149

=====

(2)
MnW PBE relaxed; SG = Pnma, No. 62; calculated formation energy = 0.43 eV/f.u.; total magnetization = 0.8 μB per formula unit; volume = 222 Å³/cell; final energy = -10.85 eV per atom; Fermi-level density of states = 2.192 states/eV/f.u.
1.0
9.9502 0.0000 0.0000
0.0000 4.3760 0.0000
0.0000 0.0000 5.0913
Mn W
8 8
Cartesian
0.6279 1.0940 0.4044
1.7209 3.2820 1.3694
3.2542 1.0940 3.9150
4.3472 3.2820 2.9501
5.6029 1.0940 2.1412
6.6960 3.2820 1.1763
8.2293 1.0940 3.7219
9.3223 3.2820 4.6869
0.6487 1.0940 2.9666
1.9079 3.2820 3.9204
3.0671 1.0940 1.3748
4.3264 3.2820 0.4209
5.6237 1.0940 4.6704
6.8830 3.2820 3.7165
8.0422 1.0940 1.1709
9.3015 3.2820 2.1247

=====

(3)
CaY4Si PBE relaxed; SG = F-43m, No. 216; uncorrected formation energy = 41.4 kJ/mol of atoms; total magnetization = 0.0 μB per formula unit; volume = 189 Å³/cell; final energy = -5.12 eV per atom; Fermi-level density of states = 7.336 states/eV/f.u.
1.0
0.0000 4.5587 4.5587
4.5587 0.0000 4.5587
4.5587 4.5587 0.0000
Ca Y Si
1 4 1
Cartesian
0.0000 0.0000 0.0000
3.4221 3.4221 3.4221
5.6952 5.6952 3.4221
5.6952 3.4221 5.6952
3.4221 5.6952 5.6952
6.8380 6.8380 6.8380

=====

(4)
PaCdIrPt PBE relaxed; SG = F-43m, No. 216; calculated formation energy = -2.25 eV/f.u.; total magnetization = 0.0 μB per formula unit; volume = 79 Å³/cell; final energy = -6.89 eV per atom; Fermi-level density of states = 3.681 states/eV/f.u.
1.0
0.0000 3.4024 3.4024
3.4024 0.0000 3.4024
3.4024 3.4024 0.0000
Pa Cd Ir Pt
1 1 1 1
Cartesian
0.0000 0.0000 0.0000
3.4024 3.4024 3.4024
1.7012 1.7012 1.7012
5.1037 5.1037 5.1037

=====

(5)
AgWAu2 PBE relaxed; SG = P4/mmm, No. 123; calculated formation energy = 1.55 eV/f.u.; total magnetization = 0.0 μB per formula unit; volume = 70 Å³/cell; offset from the most stable computed form = 15.1 kJ per mole of atoms; final energy = -5.20 eV per atom; Fermi-level density of states = 2.864 states/eV/f.u.
1.0
5.0393 0.0000 0.0000
0.0000 5.0393 0.0000
0.0000 0.0000 2.7675
Ag W Au
1 1 2
Cartesian
0.0000 0.0000 0.0000
2.5197 2.5197 0.0000
0.0000 2.5197 1.3838
2.5197 0.0000 1.3838

=====

(6)
ThZn2PtAu2 PBE relaxed; SG = P4/mmm, No. 123; calculated formation energy = -2.16 eV/f.u.; total magnetization = 0.0 μB per formula unit; volume = 129 Å³/cell; final energy = -4.12 eV per atom; Fermi-level density of states = 2.163 states/eV/f.u.
1.0
4.8552 0.0000 0.0000
0.0000 4.8552 0.0000
0.0000 0.0000 5.4831